**Material**
'''
# Pr2ScGa4Au3

Pr2ScGa4Au3 after structural relaxation (PBE, Alexandria).

Values from the calculation:
* energy: -4.4365 eV/atom
* symmetry: P-4m2, No. 115
* energy relative to the elements: -0.653 eV per atom
* theoretical density: 9.23 g/cm³

abc: 4.318 4.318 11.551
angles: 90.00 90.00 90.00
Element x y z (fractional)
Pr (0.000, 0.500, 0.243)
Pr (0.500, 0.000, 0.757)
Sc (0.000, 0.000, 0.500)
Ga (0.000, 0.000, 0.000)
Ga (0.000, 0.500, 0.650)
Ga (0.500, 0.000, 0.350)
Ga (0.500, 0.500, 0.000)
Au (0.000, 0.500, 0.870)
Au (0.500, 0.000, 0.130)
Au (0.500, 0.500, 0.500)

----------

Entry one
First-principles (GGA-PBE) data for a relaxed Nb2OF crystal, as listed in the Alexandria database.

Cell: 4.1073 4.1073 7.2258 Å, 73.49 73.49 90.00°
Last column: nearest neighbours and their distance in Å.
Positions (direct):
1 O 0.2500 0.7500 0.5000  4 Nb 2.14
2 Nb 0.1592 0.6250 0.2500  2 O 2.14, 2 F 2.27
3 Nb 0.5908 0.1250 0.2500  2 O 2.14, 2 F 2.27
4 F 0.7500 0.2500 0.5000  4 Nb 2.27
5 Nb 0.3750 0.4092 0.7500  2 O 2.14, 2 F 2.27
6 O 0.5000 0.5000 0.0000  4 Nb 2.14
7 Nb 0.8750 0.8408 0.7500  2 O 2.14, 2 F 2.27
8 F 0.0000 0.0000 0.0000  4 Nb 2.27

Values from the calculation:
Crystal system: tetragonal
Mass density, g cm⁻³: 6.57
N(E_F), states/eV per cell: 3.4

***

Entry two
First-principles (GGA-PBE) data for a relaxed Nb2OF crystal, as listed in the Alexandria database.

Cell: 4.1217 4.1217 4.1217 Å, 60.00 60.00 60.00°
Last column: nearest neighbours and their distance in Å.
Positions (direct):
1 Nb 0.2500 0.2500 0.2500  4 O 2.52, 4 F 2.52
2 O 0.0000 0.0000 0.0000  8 Nb 2.52
3 F 0.5000 0.5000 0.5000  8 Nb 2.52
4 Nb 0.7500 0.7500 0.7500  4 O 2.52, 4 F 2.52

Values from the calculation:
Crystal system: cubic
Mass density, g cm⁻³: 7.41
N(E_F), states/eV per cell: 3.2

***

Most stable structure - entry one; separation to the second - 62.3 kJ/mol of atoms.

***

Entry one
First-principles (GGA-PBE) data for a relaxed Nb2OF8 crystal, as listed in the Alexandria database.

Cell: 4.1725 7.2595 7.2595 Å, 78.57 84.16 84.16°
Last column: nearest neighbours and their distance in Å.
Positions (direct):
1 F 0.7682 0.9651 0.3683  1 Nb 1.90
2 F 0.8751 0.3386 0.3386  1 Nb 1.89
3 F 0.2318 0.0349 0.6317  1 Nb 1.90
4 Nb 0.8607 0.1710 0.1710  5 F 1.89-2.11, 1 O 1.93
5 Nb 0.1393 0.8290 0.8290  5 F 1.89-2.11, 1 O 1.93
6 F 0.1249 0.6614 0.6614  1 Nb 1.89
7 F 0.2318 0.6317 0.0349  1 Nb 1.90
8 F 0.7682 0.3683 0.9651  1 Nb 1.90
9 F 0.6444 0.8275 0.8275  2 Nb 2.07-2.11
10 O 0.0000 0.0000 0.0000  2 Nb 1.93
11 F 0.3556 0.1725 0.1725  2 Nb 2.07-2.11

Values from the calculation:
Crystal system: monoclinic
Mass density, g cm⁻³: 2.75
N(E_F), states/eV per cell: 0.0

***

Entry two
First-principles (GGA-PBE) data for a relaxed Nb2OF8 crystal, as listed in the Alexandria database.

Cell: 5.3885 9.3624 15.5492 Å, 76.48 90.00 90.00°
Last column: nearest neighbours and their distance in Å.
Positions (direct):
1 F 0.8889 0.9492 0.4149  1 Nb 1.90
2 F 0.0812 0.0000 0.2500  2 Nb 2.12
3 F 0.0659 0.4031 0.4263  1 Nb 1.88
4 F 0.4791 0.8490 0.3151  1 Nb 1.90
5 O 0.0450 0.7149 0.3613  1 Nb 1.80
6 F 0.8380 0.5000 0.7500  2 Nb 2.14
7 F 0.9341 0.5969 0.5737  1 Nb 1.88
8 F 0.6627 0.0978 0.8786  1 Nb 1.87
9 F 0.5931 0.4568 0.1021  1 Nb 1.87
10 F 0.1111 0.0508 0.5851  1 Nb 1.90
11 F 0.6678 0.1871 0.5088  1 Nb 1.87
12 F 0.9188 0.0000 0.7500  2 Nb 2.12
13 Nb 0.9034 0.4488 0.1576  1 O 1.80, 2 F 1.87-1.88
14 F 0.0659 0.5969 0.0737  1 Nb 1.88
15 F 0.3322 0.1871 0.0088  1 Nb 1.87
16 Nb 0.7848 0.9100 0.8797  4 F 1.87-1.90
17 Nb 0.2152 0.0900 0.1203  4 F 1.87-1.90
18 F 0.6678 0.8129 0.9912  1 Nb 1.87
19 F 0.3373 0.0978 0.3786  1 Nb 1.87
20 O 0.0450 0.2851 0.1387  1 Nb 1.80
21 O 0.9550 0.7149 0.8613  1 Nb 1.80
22 Nb 0.7848 0.0900 0.6203  4 F 1.87-1.90
23 F 0.9341 0.4031 0.9263  1 Nb 1.88
24 F 0.2319 0.6350 0.7193  1 Nb 2.03
25 F 0.3373 0.9022 0.1214  1 Nb 1.87
26 F 0.4069 0.5432 0.8979  1 Nb 1.87
27 F 0.8889 0.0508 0.0851  1 Nb 1.90
28 Nb 0.0966 0.5512 0.8424  1 O 1.80, 2 F 1.87-1.88
'''

**Assignment**
Start at the top of the calculation results above and copy each line, ending with the one that has "0.8424".

**Reply**
# Pr2ScGa4Au3

Pr2ScGa4Au3 after structural relaxation (PBE, Alexandria).

Values from the calculation:
* energy: -4.4365 eV/atom
* symmetry: P-4m2, No. 115
* energy relative to the elements: -0.653 eV per atom
* theoretical density: 9.23 g/cm³

abc: 4.318 4.318 11.551
angles: 90.00 90.00 90.00
Element x y z (fractional)
Pr (0.000, 0.500, 0.243)
Pr (0.500, 0.000, 0.757)
Sc (0.000, 0.000, 0.500)
Ga (0.000, 0.000, 0.000)
Ga (0.000, 0.500, 0.650)
Ga (0.500, 0.000, 0.350)
Ga (0.500, 0.500, 0.000)
Au (0.000, 0.500, 0.870)
Au (0.500, 0.000, 0.130)
Au (0.500, 0.500, 0.500)

----------

Entry one
First-principles (GGA-PBE) data for a relaxed Nb2OF crystal, as listed in the Alexandria database.

Cell: 4.1073 4.1073 7.2258 Å, 73.49 73.49 90.00°
Last column: nearest neighbours and their distance in Å.
Positions (direct):
1 O 0.2500 0.7500 0.5000  4 Nb 2.14
2 Nb 0.1592 0.6250 0.2500  2 O 2.14, 2 F 2.27
3 Nb 0.5908 0.1250 0.2500  2 O 2.14, 2 F 2.27
4 F 0.7500 0.2500 0.5000  4 Nb 2.27
5 Nb 0.3750 0.4092 0.7500  2 O 2.14, 2 F 2.27
6 O 0.5000 0.5000 0.0000  4 Nb 2.14
7 Nb 0.8750 0.8408 0.7500  2 O 2.14, 2 F 2.27
8 F 0.0000 0.0000 0.0000  4 Nb 2.27

Values from the calculation:
Crystal system: tetragonal
Mass density, g cm⁻³: 6.57
N(E_F), states/eV per cell: 3.4

***

Entry two
First-principles (GGA-PBE) data for a relaxed Nb2OF crystal, as listed in the Alexandria database.

Cell: 4.1217 4.1217 4.1217 Å, 60.00 60.00 60.00°
Last column: nearest neighbours and their distance in Å.
Positions (direct):
1 Nb 0.2500 0.2500 0.2500  4 O 2.52, 4 F 2.52
2 O 0.0000 0.0000 0.0000  8 Nb 2.52
3 F 0.5000 0.5000 0.5000  8 Nb 2.52
4 Nb 0.7500 0.7500 0.7500  4 O 2.52, 4 F 2.52

Values from the calculation:
Crystal system: cubic
Mass density, g cm⁻³: 7.41
N(E_F), states/eV per cell: 3.2

***

Most stable structure - entry one; separation to the second - 62.3 kJ/mol of atoms.

***

Entry one
First-principles (GGA-PBE) data for a relaxed Nb2OF8 crystal, as listed in the Alexandria database.

Cell: 4.1725 7.2595 7.2595 Å, 78.57 84.16 84.16°
Last column: nearest neighbours and their distance in Å.
Positions (direct):
1 F 0.7682 0.9651 0.3683  1 Nb 1.90
2 F 0.8751 0.3386 0.3386  1 Nb 1.89
3 F 0.2318 0.0349 0.6317  1 Nb 1.90
4 Nb 0.8607 0.1710 0.1710  5 F 1.89-2.11, 1 O 1.93
5 Nb 0.1393 0.8290 0.8290  5 F 1.89-2.11, 1 O 1.93
6 F 0.1249 0.6614 0.6614  1 Nb 1.89
7 F 0.2318 0.6317 0.0349  1 Nb 1.90
8 F 0.7682 0.3683 0.9651  1 Nb 1.90
9 F 0.6444 0.8275 0.8275  2 Nb 2.07-2.11
10 O 0.0000 0.0000 0.0000  2 Nb 1.93
11 F 0.3556 0.1725 0.1725  2 Nb 2.07-2.11

Values from the calculation:
Crystal system: monoclinic
Mass density, g cm⁻³: 2.75
N(E_F), states/eV per cell: 0.0

***

Entry two
First-principles (GGA-PBE) data for a relaxed Nb2OF8 crystal, as listed in the Alexandria database.

Cell: 5.3885 9.3624 15.5492 Å, 76.48 90.00 90.00°
Last column: nearest neighbours and their distance in Å.
Positions (direct):
1 F 0.8889 0.9492 0.4149  1 Nb 1.90
2 F 0.0812 0.0000 0.2500  2 Nb 2.12
3 F 0.0659 0.4031 0.4263  1 Nb 1.88
4 F 0.4791 0.8490 0.3151  1 Nb 1.90
5 O 0.0450 0.7149 0.3613  1 Nb 1.80
6 F 0.8380 0.5000 0.7500  2 Nb 2.14
7 F 0.9341 0.5969 0.5737  1 Nb 1.88
8 F 0.6627 0.0978 0.8786  1 Nb 1.87
9 F 0.5931 0.4568 0.1021  1 Nb 1.87
10 F 0.1111 0.0508 0.5851  1 Nb 1.90
11 F 0.6678 0.1871 0.5088  1 Nb 1.87
12 F 0.9188 0.0000 0.7500  2 Nb 2.12
13 Nb 0.9034 0.4488 0.1576  1 O 1.80, 2 F 1.87-1.88
14 F 0.0659 0.5969 0.0737  1 Nb 1.88
15 F 0.3322 0.1871 0.0088  1 Nb 1.87
16 Nb 0.7848 0.9100 0.8797  4 F 1.87-1.90
17 Nb 0.2152 0.0900 0.1203  4 F 1.87-1.90
18 F 0.6678 0.8129 0.9912  1 Nb 1.87
19 F 0.3373 0.0978 0.3786  1 Nb 1.87
20 O 0.0450 0.2851 0.1387  1 Nb 1.80
21 O 0.9550 0.7149 0.8613  1 Nb 1.80
22 Nb 0.7848 0.0900 0.6203  4 F 1.87-1.90
23 F 0.9341 0.4031 0.9263  1 Nb 1.88
24 F 0.2319 0.6350 0.7193  1 Nb 2.03
25 F 0.3373 0.9022 0.1214  1 Nb 1.87
26 F 0.4069 0.5432 0.8979  1 Nb 1.87
27 F 0.8889 0.0508 0.0851  1 Nb 1.90
28 Nb 0.0966 0.5512 0.8424  1 O 1.80, 2 F 1.87-1.88